
5th Grade Physical Education
Muscle Unit Study Guide
Quiz Date _________
Use the diagrams on the back side of the study guide to help you answer each question/statement on
the front. Each numbered answer is the same for both sides of the paper. You can check your answers
by using the numbered answers listed on the bottom of the page.
1. This muscle is used when performing skills such as a push-up or a bench press.
2. Many people commonly exercise this muscle by doing sit-ups. This muscle also helps to support the
midsection of the skeleton. _____________________________________
3. The ________________________________ allow for a person to turn/twist their body from side to side.
4. The muscle located on/near the shoulder that helps you to raise your upper arm. _________________
5. The muscle that allows for the arm to bend at the elbow joint, causing it to perform a curling motion.
It also assists in picking up objects. __________________________________
6. The ____________________ muscle allows for the legs to straighten and is commonly strengthened
by performing activities that involve a squatting motion.
7. This muscle allows for the legs to curl/raise back when running, it also can be stretched while sitting
with your legs straight and reaching toward your toes. ____________________________
8. The _________________________ is the muscle that allows you to point yours toes. It is commonly
exercised by raising your body from a flat footed position onto your “tip toes,” also referred to as a
calf raise.
9. The ________________________ muscle is used to straighten and extend the arm.
10. The _______________________ allows a person to perform a shoulder shrug. This large back muscle
is named for its trapezoid shape.
11. The ____________________________ is a large back muscle that allows a person to perform a pull-up.
It was also exercised in class by performing an iron cross.
Between two parts of the piece: calculated crystals:
-- begin --
1.
## UP2H36C12Br2N6O4 (PBE)

Data for crystalline UP2H36C12Br2N6O4 at its relaxed geometry.

Output
calculated density: 1.8 g/cm³
spin magnetization: 0.00 μB/atom
uncorrected energy: -5.630 eV/atom
formation enthalpy at 0 K: -466 meV per atom

a b c (Å): 10.8258 10.8258 24.9877
angles (deg): 90.00 90.00 90.00
With the nearest neighbours (Å) after each atom.
Fractional coordinates of all 252 atoms:
U (0.0238, 0.0238, 0.0000)  2 O 1.81
U (0.4762, 0.5238, 0.2500)  2 O 1.81
U (0.5238, 0.4762, 0.7500)  2 O 1.81
U (0.9762, 0.9762, 0.5000)  2 O 1.81
P (0.2157, 0.2829, 0.2373)  1 O 1.53, 3 N 1.64-1.65
P (0.2171, 0.7157, 0.4873)  1 O 1.53, 3 N 1.64-1.65
P (0.2829, 0.2157, 0.7627)  1 O 1.53, 3 N 1.64-1.65
P (0.2843, 0.7829, 0.0127)  1 O 1.53, 3 N 1.64-1.65
P (0.7157, 0.2171, 0.5127)  1 O 1.53, 3 N 1.64-1.65
P (0.7171, 0.7843, 0.2627)  1 O 1.53, 3 N 1.64-1.65
P (0.7829, 0.2843, 0.9873)  1 O 1.53, 3 N 1.64-1.65
P (0.7843, 0.7171, 0.7373)  1 O 1.53, 3 N 1.64-1.65
H (0.0167, 0.7772, 0.7833)  1 C 1.09
H (0.0243, 0.7204, 0.2951)  1 C 1.10
H (0.0264, 0.1574, 0.8379)  1 C 1.10
H (0.0272, 0.5808, 0.5255)  1 C 1.09
H (0.0292, 0.2370, 0.3517)  1 C 1.10
H (0.0367, 0.1419, 0.7669)  1 C 1.10
H (0.0376, 0.4383, 0.9608)  1 C 1.10
H (0.0454, 0.0931, 0.3186)  1 C 1.10
H (0.0500, 0.3802, 0.1306)  1 C 1.10
H (0.0509, 0.4386, 0.4904)  1 C 1.10
H (0.0614, 0.5509, 0.7404)  1 C 1.10
H (0.0617, 0.5376, 0.2108)  1 C 1.10
H (0.0667, 0.2209, 0.1467)  1 C 1.09
H (0.0682, 0.6981, 0.6672)  1 C 1.10
H (0.0772, 0.6228, 0.0937)  1 C 1.10
H (0.0808, 0.4728, 0.2755)  1 C 1.09
H (0.0911, 0.2875, 0.6676)  1 C 1.10
H (0.0931, 0.0454, 0.6814)  1 C 1.10
H (0.1145, 0.7829, 0.0941)  1 C 1.09
H (0.1198, 0.5500, 0.3806)  1 C 1.10
H (0.1228, 0.4228, 0.8437)  1 C 1.10
H (0.1403, 0.7391, 0.9252)  1 C 1.10
H (0.1419, 0.0367, 0.2331)  1 C 1.10
H (0.1574, 0.0264, 0.1621)  1 C 1.10
H (0.1780, 0.2990, 0.8849)  1 C 1.10
H (0.1981, 0.4318, 0.4172)  1 C 1.10
H (0.2010, 0.6780, 0.1349)  1 C 1.10
H (0.2125, 0.5911, 0.9176)  1 C 1.10
H (0.2155, 0.2448, 0.6248)  1 C 1.10
H (0.2171, 0.8855, 0.4059)  1 C 1.09
H (0.2204, 0.4757, 0.0451)  1 C 1.10
H (0.2209, 0.0667, 0.8533)  1 C 1.09
H (0.2228, 0.9833, 0.7167)  1 C 1.09
H (0.2370, 0.0292, 0.6483)  1 C 1.10
H (0.2391, 0.3597, 0.6752)  1 C 1.10
H (0.2448, 0.2155, 0.3752)  1 C 1.10
H (0.2552, 0.7155, 0.8748)  1 C 1.10
H (0.2609, 0.8597, 0.5748)  1 C 1.10
H (0.2630, 0.5292, 0.6017)  1 C 1.10
H (0.2772, 0.4833, 0.5333)  1 C 1.09
H (0.2791, 0.5667, 0.3967)  1 C 1.09
H (0.2796, 0.9757, 0.2049)  1 C 1.10
H (0.2829, 0.3855, 0.8441)  1 C 1.09
H (0.2845, 0.7448, 0.6252)  1 C 1.10
H (0.2875, 0.0911, 0.3324)  1 C 1.10
H (0.2990, 0.1780, 0.1151)  1 C 1.10
H (0.3019, 0.9318, 0.8328)  1 C 1.10
H (0.3220, 0.7990, 0.3651)  1 C 1.10
H (0.3426, 0.5264, 0.0879)  1 C 1.10
H (0.3581, 0.5367, 0.0169)  1 C 1.10
H (0.3597, 0.2391, 0.3248)  1 C 1.10
H (0.3772, 0.9228, 0.4063)  1 C 1.10
H (0.3802, 0.0500, 0.8694)  1 C 1.10
H (0.3855, 0.2829, 0.1559)  1 C 1.09
-- stop --
Know the following information about muscles:
Skeletal muscle is muscle that connects to bones allowing for the skeleton/body to move.
Skeletal muscles work in pairs to provide movement of the body.
A person can improve their flexibility by stretching their muscles regularly.
Cardiac muscle is muscle found in the heart.
The heart is a muscle that can be made stronger through exercise.
Muscles take oxygen out of the blood in order to function properly.
Smooth muscle is muscle found in the digestive system (example - stomach and intestines.)
Tendons are tissues that connect the muscles to bones.
“Core” Muscles is a common term for muscles found in the middle of the body (example - Abdominals,
Obliques, Latissimus Dorsi)
1. Pectorals 2. Abdominals 3. Obliques 4. Deltoid 5. Biceps
6. Quadriceps 7. Hamstrings 8. Gastrocnemius
9. Triceps 10. Trapezius 11. Latissimus Dorsi